== Input ==
~~~
Simulated XRD peak list
Compound: Li2Ho2HfS6
Radiation: a wavelength of 1.5418 Å
Structure: a GGA-PBE-relaxed structure

Main lines, sorted by position (2θ from 10° to 90°):
two_theta, I_rel
14.33, 100
27.25, 62
28.69, 15
32.97, 54
33.52, 26
36.58, 18
43.41, 14
47.10, 10
47.25, 19
48.20, 18

```
Li2Ho2HfS6
1.0
3.3396 -5.7378 0.0000
3.3396 5.7378 0.0000
-2.0531 0.0000 6.1814
Li Ho Hf S
2 2 1 6
direct
0.1577 0.8423 0.0000
0.8423 0.1577 0.0000
0.3340 0.6660 0.5000
0.6660 0.3340 0.5000
0.0000 0.0000 0.5000
0.0706 0.3908 0.7397
0.2367 0.2367 0.2601
0.3908 0.0706 0.7397
0.6092 0.9294 0.2603
0.7633 0.7633 0.7399
0.9294 0.6092 0.2603
```

***

Simulated XRD peak list
Compound: NaErAg2F6
Radiation: a wavelength of 1.5418 Å
Structure: a GGA-PBE-relaxed structure

Main lines, sorted by position (2θ from 10° to 90°):
two_theta, I_rel
17.93, 73
18.03, 40
28.95, 49
29.10, 100
29.56, 47
29.68, 91
34.07, 33
41.95, 53
42.05, 25
52.52, 32

```
NaErAg2F6
1.0
6.0181 0.0000 0.0000
2.9868 5.2284 0.0000
2.9999 1.7143 5.0708
Na Er Ag F
1 1 2 6
direct
0.0000 0.0000 0.0000
0.5000 0.4999 0.4999
0.2665 0.2689 0.1902
0.7335 0.7321 0.8085
0.1523 0.3674 0.7616
0.2648 0.8480 0.2568
0.3774 0.7261 0.7521
0.6224 0.2716 0.2498
0.7361 0.1525 0.7424
0.8471 0.6329 0.2377
```

***

Simulated XRD peak list
Compound: Na5Tl3
Radiation: a wavelength of 1.5418 Å
Structure: a GGA-PBE-relaxed structure

Main lines, sorted by position (2θ from 10° to 90°):
two_theta, I_rel
18.92, 60
22.69, 42
28.86, 21
31.67, 100
35.62, 18
37.28, 32
42.13, 16
52.52, 24
61.52, 16
63.75, 27

```
Na5Tl3
1.0
-2.4118 2.4118 10.0817
2.4118 -2.4118 10.0817
2.4118 2.4118 -10.0817
Na Tl
5 3
direct
0.0000 0.0000 0.0000
0.2492 0.2492 0.0000
0.6177 0.1177 0.5000
0.7508 0.7508 0.0000
0.8823 0.3823 0.5000
0.1228 0.6228 0.5000
0.3772 0.8772 0.5000
0.5000 0.5000 0.0000
```

***

Simulated XRD peak list
Compound: Er3CoIr
Radiation: a wavelength of 1.5418 Å
Structure: a GGA-PBE-relaxed structure

Main lines, sorted by position (2θ from 10° to 90°):
two_theta, I_rel
18.05, 12
30.35, 100
32.28, 12
39.82, 57
42.27, 12
46.85, 40
52.42, 21
56.85, 16
63.13, 14
79.77, 14

```
Er3CoIr
1.0
6.7133 0.0000 0.0000
3.3473 5.8203 0.0000
3.3539 1.9390 6.1290
Er Co Ir
6 2 2
direct
0.1033 0.3944 0.2449
0.2431 0.8964 0.7548
0.3939 0.7579 0.2449
0.6061 0.2421 0.7551
0.7569 0.1036 0.2452
0.8967 0.6056 0.7551
0.1772 0.1775 0.9675
0.8228 0.8225 0.0325
0.3248 0.3251 0.5254
0.6752 0.6749 0.4746
```

***

Simulated XRD peak list
Compound: Pu2ZnN3
Radiation: a wavelength of 1.5418 Å
Structure: a GGA-PBE-relaxed structure

Main lines, sorted by position (2θ from 10° to 90°):
two_theta, I_rel
26.91, 25
27.41, 64
28.63, 100
31.57, 65
33.03, 100
36.97, 39
45.52, 25
46.18, 32
49.25, 28
54.43, 28

```
Pu2ZnN3
1.0
6.6948 -1.8501 0.0000
6.6948 1.8501 0.0000
-0.9906 0.0000 6.8943
Pu Zn N
4 2 6
direct
0.0759 0.0759 0.3345
0.3705 0.3705 0.0805
0.6295 0.6295 0.9195
0.9241 0.9241 0.6655
0.2431 0.2431 0.6585
0.7569 0.7569 0.3415
0.0955 0.0955 0.7023
0.1968 0.1968 0.1285
0.4577 0.4577 0.8175
0.5423 0.5423 0.1825
0.8032 0.8032 0.8715
0.9045 0.9045 0.2977
```

***

Simulated XRD peak list
Compound: HfNpPa
Radiation: a wavelength of 1.5418 Å
Structure: a GGA-PBE-relaxed structure

Main lines, sorted by position (2θ from 10° to 90°):
two_theta, I_rel
30.96, 28
33.11, 48
34.99, 50
36.64, 100
36.95, 50
37.53, 62
38.76, 22
58.84, 31
63.23, 20
64.53, 33

```
HfNpPa
1.0
2.8881 1.6674 13.9404
-2.8881 1.6674 13.9404
0.0000 -3.3349 13.9404
Hf Np Pa
6 6 6
direct
0.0427 0.0427 0.0427
0.1826 0.1826 0.1826
0.2605 0.2605 0.2605
0.7395 0.7395 0.7395
0.8174 0.8174 0.8174
0.9573 0.9573 0.9573
0.1731 0.7444 0.7444
0.2556 0.2556 0.8269
0.2556 0.8269 0.2556
0.7444 0.1731 0.7444
0.7444 0.7444 0.1731
0.8269 0.2556 0.2556
0.0000 0.5000 0.5000
0.3981 0.3981 0.3981
0.5000 0.0000 0.5000
0.5000 0.5000 0.0000
0.5000 0.5000 0.5000
0.6019 0.6019 0.6019
```

***

Please write out number 5 again, unchanged.
Simulated XRD peak list
Compound: Pu2ZnN3
~~~

== Job ==
Could you give back the whole of the contents earlier on word for word?

== Response ==
Simulated XRD peak list
Compound: Li2Ho2HfS6
Radiation: a wavelength of 1.5418 Å
Structure: a GGA-PBE-relaxed structure

Main lines, sorted by position (2θ from 10° to 90°):
two_theta, I_rel
14.33, 100
27.25, 62
28.69, 15
32.97, 54
33.52, 26
36.58, 18
43.41, 14
47.10, 10
47.25, 19
48.20, 18

```
Li2Ho2HfS6
1.0
3.3396 -5.7378 0.0000
3.3396 5.7378 0.0000
-2.0531 0.0000 6.1814
Li Ho Hf S
2 2 1 6
direct
0.1577 0.8423 0.0000
0.8423 0.1577 0.0000
0.3340 0.6660 0.5000
0.6660 0.3340 0.5000
0.0000 0.0000 0.5000
0.0706 0.3908 0.7397
0.2367 0.2367 0.2601
0.3908 0.0706 0.7397
0.6092 0.9294 0.2603
0.7633 0.7633 0.7399
0.9294 0.6092 0.2603
```

***

Simulated XRD peak list
Compound: NaErAg2F6
Radiation: a wavelength of 1.5418 Å
Structure: a GGA-PBE-relaxed structure

Main lines, sorted by position (2θ from 10° to 90°):
two_theta, I_rel
17.93, 73
18.03, 40
28.95, 49
29.10, 100
29.56, 47
29.68, 91
34.07, 33
41.95, 53
42.05, 25
52.52, 32

```
NaErAg2F6
1.0
6.0181 0.0000 0.0000
2.9868 5.2284 0.0000
2.9999 1.7143 5.0708
Na Er Ag F
1 1 2 6
direct
0.0000 0.0000 0.0000
0.5000 0.4999 0.4999
0.2665 0.2689 0.1902
0.7335 0.7321 0.8085
0.1523 0.3674 0.7616
0.2648 0.8480 0.2568
0.3774 0.7261 0.7521
0.6224 0.2716 0.2498
0.7361 0.1525 0.7424
0.8471 0.6329 0.2377
```

***

Simulated XRD peak list
Compound: Na5Tl3
Radiation: a wavelength of 1.5418 Å
Structure: a GGA-PBE-relaxed structure

Main lines, sorted by position (2θ from 10° to 90°):
two_theta, I_rel
18.92, 60
22.69, 42
28.86, 21
31.67, 100
35.62, 18
37.28, 32
42.13, 16
52.52, 24
61.52, 16
63.75, 27

```
Na5Tl3
1.0
-2.4118 2.4118 10.0817
2.4118 -2.4118 10.0817
2.4118 2.4118 -10.0817
Na Tl
5 3
direct
0.0000 0.0000 0.0000
0.2492 0.2492 0.0000
0.6177 0.1177 0.5000
0.7508 0.7508 0.0000
0.8823 0.3823 0.5000
0.1228 0.6228 0.5000
0.3772 0.8772 0.5000
0.5000 0.5000 0.0000
```

***

Simulated XRD peak list
Compound: Er3CoIr
Radiation: a wavelength of 1.5418 Å
Structure: a GGA-PBE-relaxed structure

Main lines, sorted by position (2θ from 10° to 90°):
two_theta, I_rel
18.05, 12
30.35, 100
32.28, 12
39.82, 57
42.27, 12
46.85, 40
52.42, 21
56.85, 16
63.13, 14
79.77, 14

```
Er3CoIr
1.0
6.7133 0.0000 0.0000
3.3473 5.8203 0.0000
3.3539 1.9390 6.1290
Er Co Ir
6 2 2
direct
0.1033 0.3944 0.2449
0.2431 0.8964 0.7548
0.3939 0.7579 0.2449
0.6061 0.2421 0.7551
0.7569 0.1036 0.2452
0.8967 0.6056 0.7551
0.1772 0.1775 0.9675
0.8228 0.8225 0.0325
0.3248 0.3251 0.5254
0.6752 0.6749 0.4746
```

***

Simulated XRD peak list
Compound: Pu2ZnN3
Radiation: a wavelength of 1.5418 Å
Structure: a GGA-PBE-relaxed structure

Main lines, sorted by position (2θ from 10° to 90°):
two_theta, I_rel
26.91, 25
27.41, 64
28.63, 100
31.57, 65
33.03, 100
36.97, 39
45.52, 25
46.18, 32
49.25, 28
54.43, 28

```
Pu2ZnN3
1.0
6.6948 -1.8501 0.0000
6.6948 1.8501 0.0000
-0.9906 0.0000 6.8943
Pu Zn N
4 2 6
direct
0.0759 0.0759 0.3345
0.3705 0.3705 0.0805
0.6295 0.6295 0.9195
0.9241 0.9241 0.6655
0.2431 0.2431 0.6585
0.7569 0.7569 0.3415
0.0955 0.0955 0.7023
0.1968 0.1968 0.1285
0.4577 0.4577 0.8175
0.5423 0.5423 0.1825
0.8032 0.8032 0.8715
0.9045 0.9045 0.2977
```

***

Simulated XRD peak list
Compound: HfNpPa
Radiation: a wavelength of 1.5418 Å
Structure: a GGA-PBE-relaxed structure

Main lines, sorted by position (2θ from 10° to 90°):
two_theta, I_rel
30.96, 28
33.11, 48
34.99, 50
36.64, 100
36.95, 50
37.53, 62
38.76, 22
58.84, 31
63.23, 20
64.53, 33

```
HfNpPa
1.0
2.8881 1.6674 13.9404
-2.8881 1.6674 13.9404
0.0000 -3.3349 13.9404
Hf Np Pa
6 6 6
direct
0.0427 0.0427 0.0427
0.1826 0.1826 0.1826
0.2605 0.2605 0.2605
0.7395 0.7395 0.7395
0.8174 0.8174 0.8174
0.9573 0.9573 0.9573
0.1731 0.7444 0.7444
0.2556 0.2556 0.8269
0.2556 0.8269 0.2556
0.7444 0.1731 0.7444
0.7444 0.7444 0.1731
0.8269 0.2556 0.2556
0.0000 0.5000 0.5000
0.3981 0.3981 0.3981
0.5000 0.0000 0.5000
0.5000 0.5000 0.0000
0.5000 0.5000 0.5000
0.6019 0.6019 0.6019
```

***

Please write out number 5 again, unchanged.
Simulated XRD peak list
Compound: Pu2ZnN3